Toaru Majutsu no Index Wiki

Toaru Majutsu no Index Manga Volume 19 is the 19th manga volume for the Toaru Majutsu no Index Manga, was released on September 22, 2017.[1] It deals with the final part of the Academy City Invasion Arc and Anglican Church–Russian Orthodox Church Prewar Conference.

Publisher's Summary[]

The angel that descended upon Academy City used to be...?

Last Order was kidnapped, and Accelerator noticed that Kihara's power broker is Academy City itself. Aleister's plan is progressing steadily. Moreover, Touma and Index know that the angel that descended upon Academy City was their friend, Kazakiri Hyouka...!! The 19th volume of the magic and science school action is finally here!!

Key Characters[]



Localized Releases[]


A Certain Magical Index Manga Tomes 19
A Certain Magical Index Manga v19 French cover
Release Date français June 21, 2018[2]
ISBN-13 français ISBN 979-10-327-0270-3
Number of Pages 210 pages


魔法禁書目錄 集數 19
A Certain Magical Index Manga v19 Chinese cover
Release Date 中文(臺灣) August 27, 2018[3]
ISBN-13 中文(臺灣) ISBN 978-957-564-401-7

一方通行察覺綁架最後之作的木原,其幕後黑手正是學園都市本身。 亞雷斯塔的計畫正確實地進行當中。 另外,當麻等人得知降臨學園都市的天使正是自己的舊識──風斬冰華……! 魔法×科學的學園戰鬥漫畫第十九集登場!


A Certain Magical Index Manga Volumi 19
A Certain Magical Index Manga v19 Italian cover
Release Date italiano September 18, 2019[4]
Number of Pages 208 pages
Nella città-studio, Toma Kamijo è un liceale come tanti, ma con la sua mano destra è in grado di annullare qualunque potere anomalo. La sua vita prende una piega assurda il giorno in cui trova (stesa sul suo balcone!) la suora bambina Index, custode “mnemonica” di ben 103.000 grimori di proprietà della Chiesa Puritana d’Inghilterra...!

### Here the article breaks off for materials data
........
Starting from a PBE-relaxed structure, the X-ray powder pattern of Cs4PdF5 was simulated for Cu Kα, 1.54184 Å.
Kinematic intensities with the Lorentz-polarization factor, no thermal factor.

Top 6 peaks for 10° ≤ 2θ ≤ 90°, in order of rising 2θ:
2θ/deg, d [Å], I (rel.)
26.30, 3.389, 100
28.84, 3.096, 37
31.23, 2.864, 57
43.03, 2.102, 45
52.65, 1.738, 33
68.98, 1.361, 26

Crystal structure
Unit cell a=7.113 b=7.113 c=7.113 alpha=100.92 beta=100.92 gamma=128.40
Fractional coordinates of all 10 atoms:
Cs1 0.098 0.292 0.391
Cs2 0.292 0.902 0.194
Cs3 0.708 0.098 0.806
Cs4 0.902 0.708 0.609
Pd1 0.499 0.499 0.000
F1 0.251 0.581 0.834
F2 0.417 0.251 0.670
F3 0.581 0.747 0.330
F4 0.747 0.417 0.166
F5 0.996 0.996 0.000

Starting from a PBE-relaxed structure, the X-ray powder pattern of CsRbPdF6 was simulated for Cu Kα, 1.54184 Å.
Kinematic intensities with the Lorentz-polarization factor, no thermal factor.

Top 6 peaks for 10° ≤ 2θ ≤ 90°, in order of rising 2θ:
2θ/deg, d [Å], I (rel.)
24.08, 3.696, 100
28.92, 3.087, 58
37.98, 2.369, 61
39.04, 2.307, 25
48.43, 1.880, 25
58.18, 1.586, 20

Crystal structure
Unit cell a=6.174 b=6.174 c=5.115 alpha=90.00 beta=90.00 gamma=120.00
Fractional coordinates of all 9 atoms:
Cs1 0.000 0.000 0.000
Rb1 0.667 0.333 0.435
Pd1 0.333 0.667 0.692
F1 0.027 0.513 0.903
F2 0.181 0.362 0.480
F3 0.181 0.819 0.480
F4 0.487 0.513 0.903
F5 0.487 0.973 0.903
F6 0.638 0.819 0.480

Starting from a PBE-relaxed structure, the X-ray powder pattern of Cs2RbPdF6 was simulated for Cu Kα, 1.54184 Å.
Kinematic intensities with the Lorentz-polarization factor, no thermal factor.

Top 6 peaks for 10° ≤ 2θ ≤ 90°, in order of rising 2θ:
2θ/deg, d [Å], I (rel.)
26.34, 3.384, 100
26.98, 3.305, 48
38.53, 2.337, 32
46.08, 1.970, 21
47.27, 1.923, 38
54.21, 1.692, 22

Crystal structure
Unit cell a=6.776 b=6.776 c=6.776 alpha=121.63 beta=121.63 gamma=87.20
Fractional coordinates of all 10 atoms:
Cs1 0.250 0.750 0.500
Cs2 0.750 0.250 0.500
Rb1 0.000 0.000 0.000
Pd1 0.500 0.500 0.000
F1 0.273 0.273 0.000
F2 0.286 0.286 0.572
F3 0.286 0.714 0.000
F4 0.714 0.286 0.000
F5 0.714 0.714 0.428
F6 0.727 0.727 0.000

Starting from a PBE-relaxed structure, the X-ray powder pattern of CsRb4Pd3F12 was simulated for Cu Kα, 1.54184 Å.
Kinematic intensities with the Lorentz-polarization factor, no thermal factor.

Top 6 peaks for 10° ≤ 2θ ≤ 90°, in order of rising 2θ:
2θ/deg, d [Å], I (rel.)
26.30, 3.389, 100
37.54, 2.396, 18
46.41, 1.956, 50
61.16, 1.515, 21
74.01, 1.281, 21
86.08, 1.130, 12

Crystal structure
Unit cell a=8.300 b=8.300 c=8.300 alpha=109.47 beta=109.47 gamma=109.47
Fractional coordinates of all 20 atoms:
Cs1 0.000 0.000 0.000
Rb1 0.000 0.000 0.500
Rb2 0.000 0.500 0.000
Rb3 0.500 0.000 0.000
Rb4 0.500 0.500 0.500
Pd1 0.000 0.500 0.500
Pd2 0.500 0.000 0.500
Pd3 0.500 0.500 0.000
F1 0.140 0.487 0.347
F2 0.140 0.793 0.653
F3 0.207 0.347 0.860
F4 0.347 0.140 0.487
F5 0.347 0.860 0.207
F6 0.487 0.347 0.140
F7 0.513 0.653 0.860
F8 0.653 0.140 0.793
........

A quanto pare, qualcuno in grado di interferire dall’esterno con il campo di dispersione A.I.M. ha trasformato Hyoka Kazakiri in un angelo che incombe sulla città-studio. Toma e Index cercano di scoprire chi si cela dietro questo insolito fenomeno per porvi fine, difendendo a tutti i costi l’incolumità della loro amica...


A Certain Magical Index Manga Volume 19
A Certain Magical Index Manga v19 English cover
Release Date English October 29, 2019[5]
ISBN-13 English ISBN 978-1-9753-3196-2
Number of Pages 176 pages
To quash an attack by God's Right Seat on Academy City, the mysterious Aleister Crowley will utilize even the corrupted power of an angel. But when Touma discovers that angel's identity, he'll stop at nothing to save her. Meanwhile, Accelerator is on a mission of his own to rescue Last Order from the ruthless Kihara. Could these seemingly unrelated battles actually be two sides of the same coin...?!


  1. 1.0 1.1 Index Volume 19: (Japanese) Square Enix
  2. A Certain Magical Index T19 from Ki-Oon Editions (French). Retrieved on 22/07/19.
  3. 魔法禁書目錄 (19) from Kadokawa Taiwan (Chinese). Retrieved on 19/07/19.
  4. Scheda di A Certain Magical Index 19 su Star Comics (Italian). Retrieved on 22/07/19.
  5. Volume 19 English: Yen Press


v  e
Main Series Toaru Majutsu no Index 123455.56789101111.51213141516171819202122232425262728293031
Toaru Kagaku no Railgun 12345678910111213141516171819
Toaru Kagaku no Accelerator 123456789101112
Astral Buddy 1234
Toaru Kagaku no Dark Matter 1
Toaru Kagaku no Mental Out 123
Toaru Anbu no Item 1
4-Koma Series Toaru Nichijou no Index-san 12345
Toaru Idol no Accelerator-sama 1234
Special Stories Miracle of Endymion 12
Crossover 12
Toaru Majutsu no Virtual-On 123
Anthology Manga 4-koma Koushiki Anthology 123
Koushiki Comic Anthology 12
Comic Anthology Dear 1
v  e
Toaru Majutsu no Index
Volume 1 12345 Volume 2 678910
Volume 3 1112131415 Volume 4 161718192021
Volume 5 2223242526 Volume 6 27282930313233
Volume 7 3435363738 Volume 8 394041424344
Volume 9 454647484950 Volume 10 51525354555657
Volume 11 5859606162636465 Volume 12 6667686970
Volume 13 71727374757677 Volume 14 7879808182838485
Volume 15 868788899091 Volume 16 929394959697
Volume 17 9899100101102103 Volume 18 104105106107108109110
Volume 19 111112113114115116 Volume 20 117118119120121122
Volume 21 123124125126127128 Volume 22 129130131132133134135
Volume 23 136137138139140141 Volume 24 142143144145146147
Volume 25 148149150151152153154 Volume 26 155156157158159160161
Volume 27 162163164165166167 Volume 28 168169170171172173174
Volume 29 175176177178179180181 Volume 30 182183184185186187188
Volume 31 Chapters Not Yet in Volume Format 189190191192193194195196197